There are large capitals (Rome, Paris and now New York – capitals of provincialism), there are cities of exceptional beauty (Venice) and there are cities with a special attraction (Marseille, Amsterdam, New Orleans). It’s as if the cities were people. Barcelona has been amongst those in the lattermost category. But if things carry on in the same direction, it will soon be removed from the list. Barcelona will then be a sad city, like a run-of-the-mill Dublin, without Joyce.
“Il n’est pas donné à tout le monde d’aller à Barcelone.”
1 SATURN SHADOW. Last summer I started a diary which included haiku-style writings about my amblings around Barcelona: observing the things I passed, seeing the city from the inside out. I wrote that one of the first things I noticed is that the end of the world is an endless succession of little ends of the world one after the other. You really notice it in August in Barcelona.
The haberdashery
has closed for the holidays
or, perhaps, forever?
I am offended and hurt by the systematic replacement of plane trees in the Eixample by hackberries. I don’t known whether they do it out of vice or greed, but plane trees are very important to our city: when the weather is hot, plane trees offer shade without blocking the light. The general population and artists love them. Els plàtans de Barcelona [The plane trees of Barcelona] is the title of a novel. “Plane trees along pavements add green to the air” (Vinyoli). “Clouds covered up the sun. The greenness of the plane trees, under the diffused light, took on a very special emerald hue” (Vila Casas). “The patience of L’Eixample’s plane trees. They teach me and keep me company” (Bauçà). I really like hackberries in squares or gardens (for example, the hackberry in the interior courtyard). However, two parallel rows of hackberries on a straight road as far as the eye can see create a tunnel of dark shade and block out all the light. The neighbourhood becomes a sadder place. From ground level you can barely see the sky, while those on upper floors can’t see anything below. Where there are hackberries in the Eixample, night falls a half hour early. Barcelona thus loses (or throws away) another of its charms. The tourists will continue to come out of habit, but they won’t understand why they are there. And slowly… well, etc. Then I wrote this haiku.
Uprooting plane trees
and planting hackberries
the Eixample narrows.
2 BARCELONA AND BEYOND. Barcelona, Maragall’s great enchantress (or the “powerful” Barcelona of Peret) has or has had a strong character and personality. Over the last two centuries, it has been the crucible of bold inventions, worthy heirs of a culture born of the excesses of Llull and March. So severe was the blow Barcelona (as a city and as Catalonia’s capital) received in 1938–1939 that fifty-three years later, when it was just beginning to find its feet, a demon came to call with an appetising opportunity and the city’s political leaders sold its soul for an Olympic-sized sum. And the curse never lifted. Barcelona’s supposed personality, if it exists, moves about underground or stays at home. There aren’t even any benches to sit on in its squares.
There are major cities (Rome, Paris, now New York – capitals of provincialism), there are cities of exceptional beauty (Venice) and there are cities with a special attraction (Marseille, Amsterdam, New Orleans), like they were people. Barcelona has been amongst the cities in the lattermost category. But if things carry on in the same direction, it will soon be removed from the list. Barcelona will then be a sad city, like a run-of-the-mill Dublin, without Joyce. Barcelona could have had more than twenty famous writers, but they don’t shine on the world stage because they come from a culture that doesn’t garner much attention. For example Francesc Pujols, while much more interesting as a writer and as a person than Dublin’s most famous writer, has no international market and is not accepted by those who count (money).
3 INTERLUDE IN EL CAMP DE L’ARPA. L’Arpa del Camp, as the writer Francesc Pujols called the Sagrada Família (the sacred family), becomes ever smaller the more things are added. It’s not that Gaudí’s work is shrinking, but that it is being covered up. It is no longer a church in the sense explained by Colinas in La visió artística i religiosa de Gaudí (The Artistic and Religious Vision of Gaudí), nor even a “church without a church” as written by Manganelli in his incisive book A e B (A and B); it is a simple pseudo-Gothic church like any other, and the god that is worshiped there travels by coach. A no longer sacred family. Barcelona has covered up its Nativity portal.
4 MY PROPOSALS. I would like to propose ways to minimise the damage and make life more interesting as we await societal changes which eventually have to come, because if they don’t, we’re in for a Catalan, European and world-wide disaster. For the time being I can predict that money will be done away with. But not to worry, as assistance programmes for the thousands of jobless thieves will be organised.
For the time being, I propose the following (I’ll give just a few examples; the full list is much longer):
–Demolish the post-Gaudí Sagrada Família.
–Replant the plane trees.
–Put traditional benches in the squares.
–Take over the large modern hotels and make them into shelters for the homeless.
–Keep parks and public gardens open at night.
–Don’t cover facades that are being refurbished or cleaned with giant adverts.
–Take down the advertising appearing in public spaces (bus stops, metro stations, etc.) and make these spaces available for anyone who wants to express themselves freely.
–Regarding the gardens dedicated to Joan Vinyoli, out of respect for the poet and poetry, rename them the Magic Realm or the Gardens of the Quiet Man.
–Take down the supposed monument to Macià and return the goddess by the sculptor Clarà to her rightful place, facing towards La Rambla (she’s got her back to it now). The fact that Clarà’s sculpture stood where it was was due to a triumph for Barcelona’s progressive class over the holier-than-thous who almost prevented that shameless woman from being placed in that ever more distant square, that is to say Plaça Catalonia.
–In Avinguda de Pau Casals, remove the statue of that musician sitting with a cello because 50 metres on, at the entrance to Turó Park, there is a great sculpture that Apel·les Fenosa dedicated to him which, when it rains, is amongst the most beautiful in Barcelona.
–Let the air out of Pere Botero’s cat on the “Rambla” in the El Raval district and give it away to some city in China or in a banana republic.
–Offer the façade of the Liceu to a fine local graffiti artist.
–Dismantle the Zona Franca and plant artichokes and tomatoes there: the Llobregat delta is home to the most fertile soil in Catalonia.
–Restore to the square with the ridiculous name of Plaça de la Vila de Gràcia its original name of Plaça d’Orient (the bell tower in the middle of the square has a frieze with the signs of the zodiac).
–Eliminate the monuments and street names dedicated to Antonio López, “Marquees” of Comillas and distinguished slave trader.
– I would change the name of Avinguda del Príncep d’Astúries to Riera de Cassoles. The metro station of El Putxet, with its sonorous ‘tx’ sound, would be correctly named Joaquim Folguera.
–The spectacular monument to Doctor Robert has no visibility at all. As it is now, behind the railing and trees of Plaça de Tetuan, it can only be fully seen from the middle of Gran Vía if you are travelling by car, and even there the entrance to the lift going down to the metro obscures its view (the metro lift stands in the middle of Gran Via).
–The Dona i ocell (Woman and Bird) sculpture in Parc de l’Escorxador (by Joan Miró) was being hidden by trees, and now its view is obscured by the provisional fire station. The old station on Carrer de Provença was demolished a few years ago due to the fact that it was a beautiful red brick building in a Londonesque style.
–In Plaça d’Espanya the street lamps and traffic lights are in the wrong position. They should all be replaced. They were put there by someone who didn’t notice the monument in the middle of the square.
–The mobile sculpture by Antoni Clavé in Parc de la Ciutadella with sprocket wheels and rotating gears has been shut down for goodness knows what reason. They spoil that bulging cat sculpture, let the Clavé come undone and put the Miró where nobody can see it.
And they let the sculpture Sideroploide run aground.
5 END. The other day in the metro I saw the line by Picabia which is the heading of this article on a tourist’s t-shirt.
Walking around Barcelona, in spite of the good vibes that otherwise exist there like in any other city, one breathes an air of silent hostility inherent to a modern, post-Confucian society, an obstinate and constant aggression working against positive human impulses. If all or most of us want to live in the presence of freedom, cherished friendships and serenity, why do we always have to fight against this brutality that never rests and only believes in money? A brutality which, if we don’t vociferously oppose it, makes out that it doesn’t exist. It makes us think that that’s the way things are, the way they have to be, because that’s life. But this damned brutality takes action. It takes controls. It’s a religion, and its gospel is advertising. This summer I have written my “haiku for the year”:
An unhearing war
which if you stand up to it
will let out a murmur.
## Molecular data, as found in the file
____________
This record from the OMol25 dataset describes a 4-piece molecular cluster, C4H16N8O4 overall at a distorted geometry. The level of theory is ωB97M-V with the def2-TZVPD basis set.

Calculated values
M = 240.22 g/mol
HOMO level = -9.3 eV
lowest unoccupied orbital energy = 0.0026 hartree
frontier orbital gap = 9.34 eV
SMILES string = NC(N)=O.NC(N)=O.NC(N)=O.NC(N)=O
E = -901.17975 a.u.

```
! wB97M-V def2-TZVPD RIJCOSX def2/J DEFGRID3
* xyz 0 1
N -2.141 -0.201 -0.105
C -1.516 1.012 -0.268
N -0.292 0.874 -0.890
O -2.017 2.086 0.014
H -1.646 -1.040 -0.350
H -2.954 -0.076 0.473
H 0.285 1.664 -1.096
H 0.000 -0.087 -0.921
N 0.989 -1.460 2.240
C 1.500 -2.349 3.136
N 2.376 -3.258 2.605
O 1.110 -2.448 4.282
H 1.196 -1.494 1.260
H 0.453 -0.686 2.589
H 2.773 -3.926 3.240
H 2.871 -3.081 1.749
N 0.456 -4.256 -0.956
C -0.206 -3.411 -1.812
N -0.427 -3.978 -3.036
O -0.506 -2.254 -1.570
H 0.439 -3.989 0.013
H 0.564 -5.219 -1.220
H 0.210 -4.666 -3.394
H -0.891 -3.358 -3.676
N -0.522 4.567 -0.506
C -0.685 5.806 0.077
N 0.330 6.700 -0.174
O -1.614 6.041 0.825
H 0.099 4.459 -1.288
H -1.296 3.914 -0.400
H 0.174 7.641 0.134
H 0.889 6.472 -0.975
*
```

=====

[1]
19
Properties=species:S:1:pos:R:3:forces:R:3 method="wB97M-V/def2-TZVPD" total_charge=0 lumo_ev=0.84 homo_lumo_gap_ha=0.305
C -1.0932 -1.3634 -1.7638 -0.1 -0.2 -0.1
C -0.1357 0.8888 -1.0369 -0.2 0.1 0.3
O -1.3868 -0.3339 -0.8209 0.1 0.1 -0.2
C -0.8542 -0.4972 0.5315 0.0 0.0 0.2
C 0.3290 0.4505 0.3830 0.1 0.0 0.0
C 0.3800 1.5933 1.3933 0.0 0.1 0.0
C 1.6717 -0.2843 0.3548 0.1 0.0 0.0
H -1.3178 -0.9243 -2.7348 0.0 -0.2 0.1
H -0.0309 -1.6145 -1.7281 -0.1 0.0 0.0
H -1.7237 -2.2374 -1.5700 0.1 0.1 0.0
H -0.8289 1.7388 -0.8925 0.1 -0.1 0.0
H -0.6300 -1.5529 0.7322 0.0 0.2 -0.1
H -1.6375 -0.1531 1.2117 0.1 0.0 -0.1
H -0.5840 2.1118 1.4492 0.1 -0.1 0.0
H 1.1312 2.3241 1.0690 -0.1 -0.1 0.1
H 0.6588 1.2559 2.3996 0.0 0.0 -0.1
H 2.4585 0.3885 -0.0014 -0.1 -0.1 0.1
H 1.6441 -1.1399 -0.3282 0.0 0.1 0.1
H 1.9494 -0.6509 1.3523 0.0 0.1 -0.1

[2]
71
Properties=species:S:1:pos:R:3:forces:R:3 method="wB97M-V/def2-TZVPD" spin_multiplicity=3 total_charge=+1 lumo_ev="-3.33 / -3.84" homo_lumo_gap_ha="0.257 / 0.238"
Pt -0.5504 0.0781 -0.2050 0.0 0.6 -0.2
N 7.1280 7.0000 -0.3192 0.0 0.0 0.0
C 6.2771 6.2296 -0.3626 0.0 -0.1 0.0
C 5.2126 5.2586 -0.4065 0.0 0.1 0.0
C 4.9337 4.4898 0.7209 0.1 0.0 0.0
C 3.9078 3.5615 0.6841 0.0 0.0 0.1
C 3.1427 3.4069 -0.4657 0.0 0.0 0.0
C 3.4207 4.1813 -1.5873 0.0 0.0 0.0
C 4.4556 5.1000 -1.5642 0.0 0.0 0.0
C 2.0169 2.4300 -0.5040 -0.1 -0.1 0.0
C 2.3634 1.0773 -0.5895 0.1 0.0 -0.1
C 3.6836 0.5808 -0.7010 0.0 0.0 0.0
C 3.5991 -0.7897 -0.8252 0.0 0.0 0.0
C 2.2337 -1.0993 -0.7869 0.1 0.0 -0.1
N 1.4804 -0.0013 -0.6537 -0.1 -0.1 0.3
C 0.7336 2.9622 -0.4600 0.0 0.1 0.0
C 0.3909 4.3338 -0.2929 0.0 0.0 0.0
C -0.9805 4.4032 -0.2437 0.0 0.0 0.0
C -1.4409 3.0774 -0.3859 0.0 0.0 -0.1
N -0.4373 2.2209 -0.5319 -0.1 0.0 0.3
H 5.5245 4.6219 1.6169 0.0 0.0 0.0
H 3.6949 2.9607 1.5597 0.0 0.0 0.0
____________
Que dir-te Enric?
Veritats a cabaços,
_The piece is interrupted by calculated molecules_
/*
# 1
This record from the OMol25 dataset describes a structure of composition C50H56CoIN6O4 in a non-equilibrium geometry. The level of theory is ωB97M-V with the def2-TZVPD basis set.

- HOMO (spin up / spin down): -0.196 / -0.232 hartree
- LUMO level (spin up / spin down): -0.32 / -0.89 eV
- Energy above the lowest of the compared OMol25 structures with the same formula, charge and spin: 53.4 kcal per mole
- <S²>: 6.137
- DFT total energy: -115616.229 eV
- Spin multiplicity: 5
- Net charge: 0

Geometry (Å):
Co 0.610 -0.537 0.006
C 3.755 3.060 3.842
C 2.254 2.945 4.129
C 1.478 2.405 2.965
C 0.841 3.170 2.029
C 0.705 4.667 2.060
C 1.923 5.399 1.495
C 0.307 2.494 0.870
C 0.160 3.001 -0.392
C -0.032 2.174 -1.521
C -0.353 2.668 -2.823
C -0.628 4.094 -3.169
C 0.650 4.841 -3.559
C -0.369 1.582 -3.666
C -0.043 0.441 -2.860
C 0.110 -0.857 -3.354
C 0.472 -1.984 -2.642
N 0.714 -2.042 -1.300
C 1.052 -3.333 -1.009
C 1.456 -3.806 0.224
C 1.766 -3.039 1.349
N 1.674 -1.682 1.433
C 2.203 -1.337 2.646
C 2.293 -0.005 3.138
C 1.406 0.967 2.796
N 0.226 0.502 2.163
C 2.664 -2.497 3.336
C 2.326 -3.578 2.552
C 2.488 -5.032 2.854
C 3.724 -5.635 2.182
C 3.284 -2.530 4.694
C 2.220 -2.526 5.795
C 1.013 -4.134 -2.213
C 0.665 -3.295 -3.228
C 0.591 -3.595 -4.689
C 1.904 -3.195 -5.369
C 1.348 -5.589 -2.278
C 0.144 -6.454 -1.900
N 0.131 0.815 -1.562
C -0.646 1.570 -5.134
C -2.082 1.141 -5.453
H 4.261 3.496 4.701
H 3.937 3.690 2.975
H 4.196 2.088 3.640
H 1.873 3.928 4.407
H 2.104 2.279 4.982
H 0.530 4.998 3.085
H -0.178 4.934 1.478
H 2.797 5.249 2.123
H 1.726 6.468 1.445
H 2.158 5.046 0.493
H 0.238 4.061 -0.552
H -1.091 4.594 -2.317
H -1.335 4.135 -4.000
H 1.355 4.847 -2.731
H 0.420 5.872 -3.825
H 1.129 4.357 -4.408
H -0.034 -0.981 -4.416
H 1.608 -4.869 0.315
H 3.111 0.219 3.807
H 1.598 -5.570 2.516
H 2.567 -5.178 3.933
H 3.683 -5.494 1.106
H 3.785 -6.701 2.389
H 4.627 -5.156 2.551
H 3.944 -1.670 4.828
H 3.893 -3.432 4.782
H 1.608 -1.629 5.731
H 2.690 -2.560 6.776
H 1.570 -3.392 5.694
H -0.240 -3.054 -5.150
H 0.415 -4.662 -4.830
H 2.098 -2.135 -5.223
H 1.865 -3.403 -6.436
H 2.732 -3.751 -4.934
H 2.176 -5.805 -1.598
H 1.675 -5.843 -3.288
H -0.183 -6.227 -0.887
H 0.407 -7.508 -1.956
H -0.685 -6.264 -2.578
H 0.050 0.890 -5.632
H -0.480 2.570 -5.538
H -2.294 0.165 -5.021
H -2.232 1.084 -6.530
H -2.789 1.860 -5.041
I -4.714 -4.479 3.229
C -3.459 -2.783 3.137
C -3.688 -1.716 3.996
C -2.863 -0.617 3.929
C -1.801 -0.571 3.015
C -1.609 -1.648 2.141
C -2.431 -2.750 2.207
C -0.969 0.616 3.010
O -1.193 1.634 3.637
O 0.015 1.160 0.942
H -4.506 -1.740 4.699
H -3.022 0.232 4.579
H -0.826 -1.609 1.383
H -2.272 -3.581 1.536
O -4.976 4.671 -3.065
C -5.320 4.582 -1.694
N -4.197 4.959 -0.902
C -3.153 4.210 -0.449
O -2.237 4.759 0.133
C -3.171 2.737 -0.637
C -3.458 2.111 -1.846
C -3.348 0.733 -1.924
C -2.908 0.036 -0.809
N -2.626 0.624 0.343
C -2.764 1.932 0.428
H -5.772 4.677 -3.605
H -5.625 3.555 -1.441
H -6.150 5.268 -1.466
H -4.027 5.954 -0.817
H -3.730 2.695 -2.713
H -3.577 0.210 -2.839
*/
“chapeau” trist.